-- Given --
+++
27
Properties=species:S:1:pos:R:3:forces:R:3 method="wB97M-V/def2-TZVPD" total_energy_ev=-17987.334 e_above_lowest_kj_mol=0.00 fmax_ev_per_a=4.44 charge=+1 homo_ev=-13.51 orbital_gap_ev=11.0
H -2.6025 0.9124 -0.5664 2.2 -0.5 0.4
N -1.6008 0.8213 -0.1770 -1.9 -0.6 -1.6
C -0.7825 -0.0194 -0.6564 0.1 -1.0 0.9
O -0.8076 -1.0287 -1.6434 0.3 2.8 0.7
C -1.8778 -0.9002 -2.6110 -0.2 1.3 0.9
C 0.5624 -0.0299 0.1202 1.0 0.4 -3.1
N 0.6072 -0.7108 1.3843 0.2 3.1 1.5
C 0.4584 -1.9632 1.6396 -0.1 -2.5 -1.3
N 0.5986 -2.3424 2.9057 -0.7 -2.2 -0.5
N 0.2728 -2.8707 0.6268 1.5 4.0 -1.1
C 0.9788 1.4420 0.3211 -0.3 -0.6 -0.8
N 1.3822 1.6578 1.4625 0.9 0.1 2.3
H 1.9153 2.4332 1.7918 -0.1 1.0 -0.3
O 0.9238 2.1767 -0.7908 0.1 0.3 0.3
C 1.2382 3.6096 -0.7012 2.2 -2.3 1.9
H -1.6817 -1.6179 -3.3485 0.2 -0.9 -1.0
H -2.1062 0.0976 -3.0788 1.1 -0.7 0.7
H -2.7167 -1.1471 -2.0264 -1.6 -0.5 0.1
H 1.4006 -0.3456 -0.6173 -1.2 -0.2 1.2
H 0.7857 -0.0233 2.2354 -0.1 -1.1 -2.5
H 0.4450 -3.2765 3.2750 0.1 0.3 -0.6
H 0.7734 -1.6609 3.5666 0.3 1.5 1.5
H -0.1480 -3.7231 0.7547 -0.9 -2.2 0.5
H 0.3862 -2.5034 -0.3603 -0.6 -0.8 1.8
H 0.9630 4.0055 -1.5920 -0.9 1.1 -2.7
H 2.3301 3.7354 -0.5631 -0.5 -0.1 -0.1
H 0.7434 4.0809 0.1041 -0.8 0.3 0.9



32
Properties=species:S:1:pos:R:3:forces:R:3 method="wB97M-V/def2-TZVPD" total_energy_ev=-26441.626 fmax_ev_per_a=3.95 charge=-1 homo_ev=-4.68 orbital_gap_ev=7.3
O -2.3067 0.7455 -1.3556 0.9 0.0 -0.5
C -3.3352 1.3974 -1.3994 -3.4 2.0 0.0
N -4.3564 2.0385 -1.4613 2.5 -1.6 0.2
C 3.3498 -0.8615 -0.6760 0.0 0.0 0.0
C 2.6943 0.1722 -1.5822 -0.6 0.6 -0.1
C 3.7305 0.9355 -2.4057 -0.3 -0.1 0.1
O 1.7812 -0.4434 -2.5070 0.5 -0.1 0.4
C 0.6119 -0.9405 -1.9914 -1.1 0.0 -0.1
O -0.0500 -1.7100 -2.6545 0.8 0.3 0.2
C 0.1830 -0.4242 -0.6748 -0.4 0.8 -0.5
C -1.1471 -0.6730 -0.3364 1.5 -1.4 0.6
C -1.6553 -0.5541 1.0324 -0.6 0.1 0.8
C -0.8256 -0.4289 2.1734 -0.6 0.1 -0.3
C -1.3797 -0.0557 3.3994 -0.1 -0.3 -0.2
C -2.7613 0.1552 3.5202 0.1 -0.1 -0.4
C -3.5985 -0.1049 2.4238 0.1 -0.3 0.4
C -3.0525 -0.5431 1.2242 0.5 0.3 -0.2
C 0.8629 0.7795 -0.1428 -0.8 0.1 0.6
O 0.4503 1.4779 0.7602 0.8 -0.3 -0.9
O 1.9911 1.1747 -0.8140 0.6 -0.6 -0.1
H 2.6036 -1.4324 -0.1119 0.2 0.1 -0.1
H 3.9400 -1.5482 -1.2943 -0.2 0.1 0.1
H 4.0272 -0.3501 0.0182 -0.2 -0.1 -0.1
H 3.2317 1.6676 -3.0457 0.0 -0.1 0.1
H 4.4160 1.4578 -1.7339 -0.1 -0.1 -0.1
H 4.2931 0.2373 -3.0293 -0.1 0.0 0.1
H -1.6762 -1.3198 -1.0318 0.1 0.1 0.3
H 0.2463 -0.6098 2.0884 -0.3 0.2 0.0
H -0.7175 0.0705 4.2591 -0.3 0.0 -0.2
H -3.1879 0.4977 4.4672 0.2 -0.1 -0.3
H -4.6794 0.0191 2.5011 0.3 -0.1 0.1
H -3.6835 -0.8270 0.3803 0.1 0.4 0.2



9
Properties=species:S:1:pos:R:3:forces:R:3 method="wB97M-V/def2-TZVPD" total_energy_ev=-14268.396 e_above_lowest_kj_mol=47.14 fmax_ev_per_a=3.15 charge=-1 homo_ev=-3.87 orbital_gap_ev=7.5
C -2.8481 0.2380 0.0158 0.2 -0.5 0.1
N 1.5999 -1.0007 0.1229 -1.4 -2.3 0.2
N 0.7171 -0.0788 0.0781 0.2 1.0 0.2
O -2.6090 -0.3894 -0.8956 -0.2 -1.3 -2.9
O -0.5213 -0.3380 0.2627 1.7 -0.6 0.4
O -3.1830 0.7916 0.9527 -0.8 1.8 2.3
O 1.0614 1.1269 -0.0988 0.6 0.5 -0.4
O 2.8871 -0.6512 -0.2579 -0.3 0.2 0.1
H 2.8958 0.3015 -0.1798 0.0 1.2 -0.1



14
Properties=species:S:1:pos:R:3:forces:R:3 method="wB97M-V/def2-TZVPD" total_energy_ev=-7251.837 e_above_lowest_kj_mol=582.66 fmax_ev_per_a=3.27 homo_ev="-6.42 / -6.42" orbital_gap_ev="7.0 / 7.0"
C 0.8596 -0.8175 1.5457 -0.5 0.1 -0.7
C 0.8473 0.5071 1.7469 -0.5 0.4 -0.3
C 0.2271 -1.3250 0.2610 0.3 1.5 -1.7
C 0.1303 -0.0306 -0.5090 -1.4 1.0 2.1
N -1.1750 1.6096 -1.5476 -1.3 1.6 -2.5
N -1.0538 0.4309 -0.8424 1.3 -1.2 -1.1
H 1.2767 -1.6487 2.0304 0.9 -0.9 1.8
H 1.2332 1.0573 2.6781 -0.2 -1.2 -1.3
H 0.9710 -1.8534 -0.4237 -1.1 -0.5 1.1
H -0.8347 -1.7506 0.2894 1.7 -0.1 0.1
H 0.9500 0.5762 -0.8187 0.8 -0.3 -0.4
H -1.7385 1.5771 -2.5051 1.5 -0.7 2.7
H -0.2238 1.8803 -1.8124 -0.5 0.1 0.2
H -1.8226 0.0222 -0.3621 -0.9 0.3 0.1



70
+++

-- Wanted --
Your job: work out how many lines further up have the word "species" in them; a number is enough.

-- Done --
4